When you are just a small creature in a world of things that want to eat you, one of the best strategies is to become invisible.
No, not literally. But some creatures are so adept at blending into their backgrounds that they may as well be. From birds and octopuses to frogs and caterpillars, creatures all around the world have found ingenious ways to disguise themselves from hungry eyes.
But a spider that lives in the rainforests of China has taken it up a notch. The masked crab spider (Thomisus guangxicus) appears to team up to perfect their powers of camouflage mimicry. Environmental scientists Shi-Mao Wu and Jiang-Yun Gao of Yunnan University have documented a male and a female of the species working together to disguise themselves as a flower.
It could be the first time we've ever seen cooperative camouflage in the wild.
Crab spiders are cute, colorful arachnids that pose no danger to humans. They live in environments that match their coloration, disguising themselves as features of leaves or petals. This offers protection against predators, sure, but also gives them another advantage. Crab spiders do not spin webs; rather, they are ambush predators that lie in wait to snare their own prey as it crosses their paths.
They're called crab spiders because their grabby front legs are longer than the others, giving them a similar appearance to their marine namesake. But, in comparison to crabs, crab spiders can have a much more pronounced sexual dimorphism.

In the case of the masked crab spider, the male and the female look very different indeed: the male is much smaller than the female, with different, much darker coloration. In fact, this is the case for many crab spider species, leading scientists to wonder what the male's camouflage strategy might be.
Well, Wu and Gao might have found an answer. In a tropical rainforest in Yunnan, they came across two spiders on a Hoya pandurata – a plant with pretty, waxy flowers that have a lighter corolla (the petal part) and darker pistils and stamens.
"In this image, where the male crab spider lies on the back of the conspecific female, the male appears to mimic a flower's pistils and stamens while the female appears to mimic that same flower's fused corolla," they write in their description of the encounter.
"The flower's complex color is matched as a whole only when individual spiders of both sexes are present."
The researchers told New Scientist that they believe their discovery is the first documented case of cooperative mimicry.
(Attached: records of crystals)
[1]
{"formula": "Sr2BeGeAu6", "functional": "PBE", "state": "relaxed", "lattice_angstrom": [[6.5833, 0.0000, 0.0000], [3.2480, 5.7339, 0.0000], [3.2566, 1.8954, 5.9202]], "species": ["Sr", "Sr", "Be", "Ge", "Au", "Au", "Au", "Au", "Au", "Au"], "fractional_positions": [[0.2220, 0.2210, 0.3361], [0.7780, 0.7790, 0.6639], [0.0000, 0.0000, 0.0000], [0.5000, 0.5000, 0.5000], [0.2379, 0.7009, 0.8209], [0.2387, 0.2395, 0.8212], [0.3013, 0.7595, 0.1767], [0.6987, 0.2405, 0.8233], [0.7613, 0.7605, 0.1788], [0.7621, 0.2991, 0.1791]], "spacegroup": "No. 2", "density_kg_m3": 10690, "ef_ev_per_atom": -0.48}

=====

[2]
{"formula": "Ho2Ge2Ir5", "functional": "PBE", "state": "relaxed", "lattice_angstrom": [[4.1583, 0.0000, 0.0000], [0.0000, 4.1583, 0.0000], [0.0000, 0.0000, 9.0156]], "species": ["Ho", "Ho", "Ge", "Ge", "Ir", "Ir", "Ir", "Ir", "Ir"], "fractional_positions": [[0.0000, 0.0000, 0.0000], [0.0000, 0.0000, 0.5000], [0.5000, 0.5000, 0.1363], [0.5000, 0.5000, 0.8637], [0.0000, 0.5000, 0.2762], [0.0000, 0.5000, 0.7238], [0.5000, 0.0000, 0.2762], [0.5000, 0.0000, 0.7238], [0.5000, 0.5000, 0.5000]], "spacegroup": "No. 123", "density_kg_m3": 15298, "ef_ev_per_atom": -0.62}

=====

[3]
{"formula": "LiHgPb2", "functional": "PBE", "state": "relaxed", "lattice_angstrom": [[3.8100, 0.0000, 0.0000], [0.0000, 3.8100, 0.0000], [0.0000, 0.0000, 7.1504]], "species": ["Li", "Hg", "Pb", "Pb"], "fractional_positions": [[0.0000, 0.0000, 0.0000], [0.0000, 0.0000, 0.5000], [0.5000, 0.5000, 0.2424], [0.5000, 0.5000, 0.7576]], "spacegroup": "No. 123", "density_kg_m3": 9950, "ef_ev_per_atom": -0.08}

=====

[1]
DFT (PBE) results for Pu2Co3B2 after structural relaxation.

formation energy from the elements	-9.1	kJ per mole of atoms
electronic total energy	-9.142	eV per atom

Lattice parameters (Å, degrees): 5.0236 5.0236 6.2510 117.99 117.99 37.05
Last column: nearest neighbours and their distance in Å.
Fractional positions:
Pu (0.1704, 0.1704, 0.3452)  2 Pu 2.38
Pu (0.8296, 0.8296, 0.6548)  2 Pu 2.38
Co (0.3737, 0.3737, 0.0525)  3 B 2.05-2.09
Co (0.5000, 0.5000, 0.5000)  4 B 2.17
Co (0.6263, 0.6263, 0.9475)  3 B 2.05-2.09
B (0.1386, 0.1386, 0.7521)  5 Co 2.05-2.17
B (0.8614, 0.8614, 0.2479)  5 Co 2.05-2.17

=====

[2]
DFT (PBE) results for Cu2IrAu after structural relaxation.

formation energy from the elements	10.3	kJ per mole of atoms
electronic total energy	-4.976	eV per atom

Lattice parameters (Å, degrees): 2.7668 2.7668 7.4339 90.00 90.00 90.00
Last column: nearest neighbours and their distance in Å.
Fractional positions:
Cu (0.0000, 0.0000, 0.2374)  4 Ir 2.63, 4 Au 2.76, 4 Cu 2.77
Cu (0.0000, 0.0000, 0.7626)  4 Ir 2.63, 4 Au 2.76, 4 Cu 2.77
Ir (0.5000, 0.5000, 0.0000)  8 Cu 2.63, 4 Ir 2.77
Au (0.5000, 0.5000, 0.5000)  8 Cu 2.76, 4 Au 2.77

=====

[3]
DFT (PBE) results for ScRhPb2 after structural relaxation.

formation energy from the elements	-4.0	kJ per mole of atoms
electronic total energy	-5.316	eV per atom
(Back to the article)
It's unclear, however, whether this is the case. The stacked spiders could have just been a coincidental happenstance. Or the spiders could have been engaged in mating behavior.
We could find out by continuing to observe the spiders, and other species of crab spider with similar sexual dimorphism, to see if the behavior repeats and can be linked to camouflage. Clues might also lie in the molecular clocks of both species.
If plant and spider are found to have co-evolved, Wu and Gao say, this could provide some clues about their fascinating behavior.
The researchers have published their findings in Frontiers in Ecology and the Environment: EcoPics.